Input
No. 1
# FeSnO3

Crystalline FeSnO3 at its relaxed geometry (PBE with a Hubbard U, the Materials Project database).

Properties
E_tot in eV/cell: -28.4

a b c (Å): 4.026 4.026 4.026
angles (deg): 90.00 90.00 90.00
Space group Pm-3m (No. 221)
One atom of each set of equivalent atoms:
Fe 0.000 0.000 0.000 [1 per cell]
Sn 0.500 0.500 0.500 [1 per cell]
O 0.000 0.500 0.500 [3 per cell]

=====

No. 2
# MnVO4

Crystalline MnVO4 at its relaxed geometry (PBE with a Hubbard U, the Materials Project database).

Properties
E_tot in eV/cell: -179.9

a b c (Å): 5.676 8.303 6.457
angles (deg): 90.00 90.00 90.00
Space group Cmcm (No. 63)
One atom of each set of equivalent atoms:
Mn 0.000 0.000 0.000 [4 per cell]
V 0.000 0.351 0.250 [4 per cell]
O 0.000 0.228 0.037 [8 per cell]
O 0.242 0.027 0.750 [8 per cell]

=====

no.,total magnetization (μB/f.u.)
1,3.999
2,4.000

* * * * *

The following is a DFT calculation (PBE) of crystalline Si12HN8 at its relaxed geometry.

Cell and atoms, written as extended XYZ:
```
21
Lattice="6.7097 0.0000 0.0000 0.0000 6.7097 0.0000 0.0000 0.0000 6.6963" Properties=species:S:1:pos:R:3 pbc="T T T"
Si 3.3549 1.1967 1.2019
Si 3.3549 5.5173 5.5118
Si 3.3549 5.5131 1.2019
Si 3.3549 1.1924 5.5118
Si 5.5131 3.3549 1.2019
Si 1.1924 3.3549 5.5118
Si 5.5173 3.3549 5.5118
Si 1.1967 3.3549 1.2019
Si 5.5150 1.1947 3.3536
Si 1.1947 5.5150 3.3536
Si 1.1947 1.1947 3.3536
Si 5.5150 5.5150 3.3536
H 3.3549 3.3549 3.7285
N 4.8430 1.8667 1.8704
N 4.8620 4.8620 4.8560
N 1.8667 4.8430 1.8704
N 1.8478 1.8478 4.8560
N 1.8478 4.8620 4.8560
N 1.8667 1.8667 1.8704
N 4.8620 1.8478 4.8560
N 4.8430 4.8430 1.8704
```

## Properties
- Size of the total moment: 1.00 μB/f.u.
- Symmetry: P4mm, No. 99
- Calculated formation energy: -0.50 eV per atom
Job
What is needed: search the notes earlier on for the word "written" and copy each line that has it.
Solution
Cell and atoms, written as extended XYZ: